Managing Energy Price Hikes

UK households are set to face eye-watering energy price increases this year and there has been plenty media attention covering the topic. There’s much speculation that energy prices could rise by 54% from 1st April 2022 with more increases in store later this year!

There are a number of factors at play which are ramping up prices. These are:

  1. Supply and demand on the global wholesale market has pushed up prices gas & electricity providers have to pay. In turn, these prices are then passed onto consumers.
  2. Europe experienced a cold winter putting pressure on supplies resulting in lower stored gas levels. Conversely, hot weather in Asia has resulted in the consumption of more energy for air-conditioning; and most recently
  3. The uncertainty and turmoil caused by the conflict in Ukraine has also had an impact on prices.

What does this mean for UK landlords?

For those landlords who rent their properties as a single let E.G. rented to a family, there is no impact because these tenants are usually responsible for managing their own energy costs.

For House in Multiple Occupancy (HMO) landlords who rent individual rooms, the cost of utilities (IE. Gas, electricity, water, internet & Council Tax) is included within the rent therefore, the onus rests on the landlord to manage and pay these running costs.

Pundits say that it is highly likely that prices are likely to increase later in the year and possibly into 2023 therefore, landlords need to prepare themselves now.

What impact could there be on tenants?

For tenants who typically rent a room in a HMO property, there is a likely chance that their rent could be increased to offset these significant price rises as landlords will be left with no option but to pass these costs on to their tenants.

What you can do to manage energy price increases

  1. Check your energy tariff to see that the amount you are paying is competitively priced. There are energy comparison websites you can visit that offer free and helpful advice. There are reported to be over 30 energy tariffs on the market to compare prices. Unfortunately, there is limited choice for gas customers but it is still worth checking if only to be satisfied that your tariff is competitively priced.

  2. Check the settings on boilers and thermostats. Some boilers may already have the hot water and central heating settings too high. 50 degrees Celsius is an ideal setting for hot water. It prevents scalding and can keep diseases at bay. Settings higher than 50 degrees can result in unnecessary and expensive energy bills.

  3. Switching off lights in rooms that are not occupied can save money. Consider installing motion sensors which switch off lights in rooms where no movement has been detected for a while.

  4. Provide energy efficient appliances. Modern white goods have display their energy efficiency. Only appliances that offer good energy efficiency should be used.

  5. Time to update the boiler? Research energy-efficient boilers as the money they are likely to save will offset the cost of their purchase.

=====
No. 1
This record from the Open Molecules 2025 dataset describes a molecular structure, C23H20Br15N3O6. The level of theory is ωB97M-V/def2-TZVPD.

Structure (XYZ):
```
67
Properties=species:S:1:pos:R:3:forces:R:3
C 1.769554 1.650135 2.262760 -0.6260 -0.1789 0.9399
Br 0.498674 0.573585 3.346160 1.1146 0.6522 0.7996
Br 0.857384 3.138745 1.355710 1.8713 0.3524 11.2806
Br 2.819344 0.465305 1.080190 -2.6618 5.1373 7.6423
H 2.491874 2.110505 2.936850 -0.3603 -0.1283 0.0501
C 3.116214 -2.263415 0.118920 -0.0643 -0.9856 1.7414
Br 4.158584 -0.635955 -0.261030 5.2228 -5.4047 -3.9248
Br 1.945004 -1.837005 1.611210 -0.3828 -4.0008 0.4832
Br 4.193904 -3.835605 0.530330 0.0823 0.7221 -0.2002
H 2.464714 -2.516855 -0.717390 0.7647 0.0840 0.1888
C -1.523016 5.330305 0.023960 -1.6406 -0.9564 0.2978
Br -0.769286 3.718815 -0.781450 -4.4631 8.0368 -0.5498
Br -2.035926 4.840865 1.874420 0.9943 1.7677 -0.5080
Br -3.192716 5.820035 -0.941050 1.4558 3.5367 0.3252
H -0.822986 6.165785 0.019600 -0.2055 -0.2977 -0.1169
C -2.560396 -1.905845 -2.436150 2.3805 -0.0691 0.1604
Br -1.024046 -1.220495 -3.465610 -1.5462 -0.2703 -1.0069
Br -3.438356 -0.434185 -1.359210 5.3446 -7.1346 -5.9554
Br -1.883456 -3.375935 -1.214940 -2.0779 -1.2008 -5.9361
H -3.210786 -2.331725 -3.200170 -0.2196 0.0026 0.5921
C -3.652636 1.731675 0.113430 -2.3579 2.3571 0.0396
Br -3.971886 2.548245 1.952340 -1.1653 -1.8210 -1.4042
Br -3.592346 3.250225 -1.187430 -1.9499 -3.8814 0.8075
Br -5.160166 0.569655 -0.466070 -6.0206 5.4825 4.9721
H -2.708826 1.192365 0.033060 -0.9284 0.2292 0.3846
C -1.466066 0.746695 1.349170 0.8270 0.1380 -0.3691
C -0.830046 1.537845 0.368260 0.3295 -4.4277 1.5498
C -0.022636 0.877505 -0.568640 -0.3853 -1.4610 -1.0073
C -0.013016 -0.528455 -0.663130 -0.6999 0.6058 1.6623
C -0.805156 -1.241525 0.253990 1.1136 0.0957 -1.0698
C -1.539876 -0.624575 1.254760 0.9541 1.0316 -0.3749
N 0.918914 -1.223075 -1.592270 -0.1267 -0.2612 -0.4886
O 1.433654 -0.560975 -2.479820 0.0640 -0.4728 1.3311
O 1.092634 -2.467425 -1.527620 -1.3492 1.7961 0.1637
H -1.867376 1.232795 2.226140 -0.1639 -0.0282 -0.3020
H -0.718576 2.602715 0.509790 -1.9168 -3.6506 1.0095
H 0.665054 1.361025 -1.246640 -1.0476 -0.4570 0.1790
H -0.806746 -2.305905 0.071030 0.1420 2.3546 0.8286
H -2.050956 -1.146365 2.050330 0.6250 1.6418 -0.6514
C 1.333624 -4.744305 2.746070 -1.5973 0.2999 0.5129
C 0.529934 -4.294845 3.850940 1.9828 -1.4457 -1.3069
C -0.666746 -3.717625 3.615380 -1.6521 0.5502 -0.5424
C -1.104936 -3.495075 2.289760 0.5839 0.0599 0.2964
C -0.288056 -3.800705 1.209860 0.7949 -1.9490 0.5988
C 0.918474 -4.511985 1.431780 -0.3891 -0.1995 2.0097
N -2.417196 -2.823115 2.067640 -0.5902 -2.0931 1.0693
O -2.851146 -2.801675 0.933910 -0.7782 -0.0862 2.6424
O -2.974736 -2.317885 3.044950 0.1696 -0.8121 -0.4100
H 2.248914 -5.284805 2.937150 0.1169 0.0823 0.0104
H 0.860444 -4.527345 4.852500 -0.0507 0.1519 0.0984
H -1.335126 -3.502655 4.436020 -0.0453 0.2508 -0.0349
H -0.512186 -3.531085 0.188370 0.5236 -1.4186 0.9171
=====

  6. Consider using smart energy technology which allows you to moderate times of the day where hot water is heated / radiators are switched on. These devices can be used remotely and offer the user real time energy consumption at the property which can be adjusted at the press of a button.

  7. Monitor energy consumption inside your property with the use of a SMART meter. Energy providers usually offer SMART meters without charge and these are an effective way for tenants and landlords to monitor energy consumption and their carbon footprint.

  8. Talk to tenants and explain to them the importance of considered energy consumption as the rewards are great for the planet and their budget.

  9. For landlords who own student properties. Consider using bill-splitting companies who specialise in offering all-inclusive utilities packages at affordable prices making budgeting easy for students to manage. At Nicholas Humphreys (Sheffield), we introduce students to our trusted friends at UniHomes who provide an excellent package and service for students on competitive terms.

  10. Make sure your property is well insulated, Investing in insulation not only reduces the need for high energy consumption but also demonstrates your commitment to a greener environment and puts your property in good stead for improved Energy Performance Certificate criteria. Well insulated houses are attractive on the property market when the time comes to sell.

Are you a HMO landlord in Sheffield looking for help with managing your rental property? Whether you are looking for energy performance & saving advice, compliance, HMO licencing requirements or any aspect relating to rental management, call Nicholas Humphreys (Sheffield – Broomhill & Crookes) on 0114 470 4715 or e-mail at

• Inserted here: molecular data:
____________
(1)
Computed, not measured: C16H24N4O3S as an isolated structure at a distorted geometry, with wB97M-V/def2-TZVPD.

Positions of all 48 atoms, in Å:
S  2.6091  0.7705  -3.5196
O  1.7870  0.7885  -0.5078
O  3.9144  0.8782  -3.4633
O  1.7255  1.4351  -4.6042
N  1.8029  2.0569  -2.3870
N  -0.1160  -3.1284  1.3324
N  0.2696  -3.7974  -0.8703
N  -0.2707  -4.0636  0.2782
C  -1.5136  3.9332  0.1430
C  1.7140  2.0031  -0.8701
C  -0.8426  -0.7204  1.6141
C  0.8994  3.0833  -0.2413
C  -1.4866  3.8465  1.6376
C  2.1532  -2.5459  -1.5054
C  -0.6784  2.7388  -0.5774
C  1.8436  -0.6880  -2.7981
C  -1.1128  -3.7024  2.2727
C  0.3564  -0.8826  -2.8091
C  -1.6879  -1.3359  2.7832
C  2.5004  -1.5413  -2.2766
C  0.2297  -1.7637  1.4366
C  0.5987  -2.6084  -1.3196
C  -2.2613  -2.4953  2.8559
C  -0.1086  -1.7197  -2.0792
H  -1.2960  -1.8745  -2.1726
H  -0.6432  4.0179  2.1982
H  1.5653  3.9796  -0.5709
H  -0.7980  2.9736  -1.6723
H  -1.2193  2.0525  -0.3064
H  -0.9861  5.0002  -0.3460
H  -0.0594  0.0055  -3.2605
H  -0.5301  0.1563  1.6724
H  1.0597  2.9523  0.7706
H  -2.2925  4.5909  2.0903
H  3.7348  -1.3890  -2.0532
H  1.5261  2.9292  -2.6734
H  -1.6866  -0.7270  0.7562
H  -0.9593  -1.2498  3.6722
H  -2.4618  4.1428  -0.3292
H  0.8067  -1.6885  2.1098
H  0.7425  -1.6139  0.3713
H  -0.2506  -3.5346  3.3177
H  -2.8190  -2.9665  3.6034
H  -2.6767  -2.7373  2.0966
H  -1.9818  2.9353  1.9475
H  -1.3483  -4.6555  2.3909
H  2.8247  -3.3913  -1.1413
H  -2.5767  -0.4494  3.0039

Summary:
HOMO energy: -8.25 eV
Calculated total energy: -39898.7064 eV
Max |F|: 0.3605 hartree/bohr
Total charge: 0
Molar mass: 352.46 u
ΔE to the lowest compared entry with this formula, charge and spin: 2258.5 kJ/mol
Frontier orbital gap: 8.0 eV

(2)
Computed, not measured: C16H24N4O5S3SiTl as an isolated structure at a distorted geometry, with wB97M-V/def2-TZVPD.

Positions of all 54 atoms, in Å:
Tl  0.4071  -0.1497  -0.1109
S  2.9649  0.7106  0.0313
S  2.7109  -1.3310  -0.0506
S  0.8473  -0.7712  -4.9813
Si  -0.0339  3.4637  -0.0965
O  4.3614  1.0375  0.1110
O  2.3067  1.1168  -1.2197
O  -0.9538  -3.1256  -0.3151
O  0.0380  0.8716  3.0679
O  2.1815  1.1049  1.2210
N  -0.7588  1.8846  -0.2055
N  -0.8276  -2.1872  0.5142
N  -0.0596  -0.4736  -2.6324
N  -0.2036  -0.2410  2.2870
C  -0.6579  4.4237  -1.6500
C  -3.9761  0.1091  -0.3515
C  -1.2961  -2.2234  1.7304
C  -2.0558  -3.4378  2.1948
C  -1.1118  -1.0890  2.6085
C  -4.8742  1.0893  0.0407
C  1.8408  3.7651  -0.1105
C  -3.0434  2.6462  0.1530
C  -4.3880  2.3673  0.2653
C  0.8013  -1.1551  -3.3004
C  -1.9461  -0.9572  3.8537
C  -0.5725  4.4055  1.5063
C  -0.4047  0.3815  -4.7117
C  -2.1010  1.6534  -0.1706
C  -0.7508  0.4003  -3.4016
C  -2.6307  0.3866  -0.4688
H  -0.7235  3.7189  2.3322
H  -1.4926  4.9660  1.3763
H  -0.3260  5.4579  -1.6520
H  -0.7942  0.9651  -5.5195
H  -1.8063  -3.6892  3.2211
H  -1.9587  -0.3956  -0.7924
H  -4.3295  -0.8918  -0.5628
H  0.8077  1.2726  2.6089
H  -2.0915  0.1004  4.0646
H  -1.7411  4.4220  -1.7104
____________
• So much for the molecular data:

Our office is open 7 days a week from 8am to 8pm.